**Listing**
<<<
Entry 1:
This record from OMol25 describes a structure of composition C21H39N8Pt. The level of theory is ωB97M-V/def2-TZVPD.

Properties
Net charge: +1
Multiplicity: 1
Lowest unoccupied orbital energy, eV: -1.955
Molar mass, g/mol: 598.68
Gap between HOMO and LUMO, Ha: 0.3119

XYZ file:
```
69
Properties=species:S:1:pos:R:3:mulliken_charge:R:1
Pt 0.5367 -0.5010 -0.0640 0.9903
C 1.9779 2.5881 0.8341 -0.4747
N 1.0808 2.8923 1.9237 0.1311
C 1.1198 4.2400 2.4648 -0.6071
C -0.0946 4.2722 3.3867 -0.6461
N -0.8846 3.1344 2.9300 0.0626
C -1.9535 2.6616 3.7914 -1.0392
C -0.1705 2.3536 2.0614 0.1135
N -0.5466 1.2742 1.4422 0.0172
C -1.9610 0.9610 1.3446 -0.9977
C -2.2992 0.5359 -0.0853 -0.8500
N -1.5831 -0.6818 -0.4262 0.0850
C -2.0906 -1.5800 -1.2391 -0.3543
N -1.6972 -2.8822 -1.2353 0.0669
C -0.6388 -3.4611 -0.4450 -1.0640
C -2.1829 -3.5732 -2.4156 -0.6944
C -3.3835 -2.7183 -2.7904 -0.7113
N -3.0302 -1.4224 -2.2186 0.2778
C -3.9845 -0.3433 -2.3875 -1.0831
H 3.0070 2.6877 1.1802 0.2931
H 1.8244 3.2722 -0.0085 0.3633
H 1.8227 1.5685 0.4869 -0.0558
H 1.0313 4.9766 1.6579 0.2988
H 2.0564 4.4237 2.9907 0.3753
H -0.6583 5.2012 3.3029 0.3360
H 0.1871 4.1379 4.4359 0.3939
H -1.8023 3.0814 4.7864 0.3882
H -1.9297 1.5772 3.8840 0.3627
H -2.9404 2.9674 3.4432 0.2784
H -2.5924 1.8315 1.5408 0.4625
H -2.2552 0.1628 2.0336 0.1111
H -2.0321 1.3590 -0.7595 0.2020
H -3.3823 0.4054 -0.1175 0.4508
H -0.6125 -2.9978 0.5388 0.3443
H 0.3417 -3.3395 -0.9110 0.3213
H -0.8538 -4.5242 -0.3325 0.3529
H -2.4593 -4.5985 -2.1742 0.3927
H -1.4244 -3.5901 -3.2059 0.3156
H -4.3134 -3.0973 -2.3527 0.4018
H -3.5149 -2.6283 -3.8676 0.3987
H -4.5064 -0.5226 -3.3256 0.3412
H -3.4862 0.6195 -2.4702 0.3569
H -4.7298 -0.3089 -1.5899 0.3647
C 2.1232 0.7245 -3.8128 -1.7876
C 1.0146 0.3264 -2.8364 0.6367
C -0.2004 -0.1501 -3.6201 -1.0729
C 1.5436 -0.7227 -1.8389 -1.5734
H 1.7856 1.5041 -4.4972 0.4475
H 2.4284 -0.1355 -4.4140 0.3512
H 3.0047 1.0950 -3.2875 0.4099
H 0.7371 1.2257 -2.2694 0.0759
H 0.0861 -0.9537 -4.3054 0.3599
H -0.6331 0.6538 -4.2185 0.4250
H -0.9736 -0.5286 -2.9701 0.0534
H 2.5912 -0.4976 -1.6242 0.9154
H 1.4899 -1.7204 -2.2909 0.5330
N 1.4667 -0.3081 2.9504 -0.1595
C 2.3778 -1.0524 2.2874 0.8606
C 3.4062 -1.6914 3.0099 -0.8034
C 4.2993 -2.4993 2.3678 -0.3329
C 4.1602 -2.6797 0.9895 -1.0788
C 3.1489 -2.0256 0.3442 -0.0904
N 2.2516 -1.2029 0.9487 -0.0461
H 1.6813 -0.0646 3.9010 0.3367
H 0.8208 0.2876 2.4433 -0.1496
H 3.4598 -1.5288 4.0779 0.3684
H 5.0865 -2.9940 2.9202 0.4283
H 4.8255 -3.3154 0.4250 0.4475
H 3.0269 -2.1613 -0.7175 0.3723
```

Entry 2:
This record from OMol25 describes a structure of composition C21H39NNiP2 in a non-equilibrium geometry. The level of theory is ωB97M-V/def2-TZVPD.

Properties
Multiplicity: 3
Lowest unoccupied orbital energy (alpha / beta), eV: -0.136 / -0.452
Molar mass, g/mol: 426.19
Gap between HOMO and LUMO (alpha / beta), Ha: 0.1849 / 0.1902

XYZ file:
```
64
Properties=species:S:1:pos:R:3:mulliken_charge:R:1
P -2.6174 0.6503 -1.3086 0.8484
P 0.8587 -1.1245 -1.8864 1.2489
C -1.4562 0.3918 -2.7346 -0.5546
C -0.7354 -0.9662 -2.8176 -1.1733
H -0.7283 1.2378 -2.6748 -0.0931
H -2.0296 0.5314 -3.6737 0.7220
H -1.4142 -1.8060 -2.5636 0.3282
H -0.4171 -1.1117 -3.8656 0.6631
C 2.0486 -1.1315 -3.2925 -1.7206
H 3.0299 -1.3807 -2.8593 0.4327
H 2.1284 -0.1507 -3.7941 0.3822
H 1.7721 -1.9008 -4.0300 0.5086
C 1.1264 -2.7899 -1.2096 -1.2558
H 1.4535 -3.4401 -2.0407 0.4501
H 0.2059 -3.2109 -0.7688 0.3653
H 1.9267 -2.7597 -0.4511 0.3289
C -3.5460 2.0491 -2.0173 -1.5845
H -4.2467 2.4806 -1.2806 0.4044
H -4.0775 1.6962 -2.9146 0.4549
H -2.8474 2.8457 -2.3394 0.5457
C -3.5261 -0.8248 -0.9397 -1.1027
H -2.8852 -1.7199 -0.9401 0.4087
H -4.3054 -0.9274 -1.7186 0.3745
H -3.9985 -0.7230 0.0488 0.4092
Ni -0.4096 -2.1625 2.3897 -0.1200
C 1.5125 0.7672 -1.5031 0.5414
C 1.1228 1.8613 -2.3451 -1.4841
C 0.9603 3.2385 -1.8043 -0.7879
C 0.1348 3.4197 -0.5051 -0.5957
C -1.2065 2.8781 -0.5969 -1.6632
C -1.5868 1.5707 -0.0864 0.6102
C -0.5681 0.4175 0.1849 0.7756
>>>

**Brief**
Your job: count the lines further above that contain the word "is" and give the number alone.

**Response**
2